**Assignment**
Print the lines further down from the line with "Sb8 0.9166" to the end word for word.

**Material**
=====
(1)
HfSb2Se2: calculated PXRD pattern (CuKα), based on a DFT-relaxed cell (PBE, OQMD).
Kinematic intensities with the Lorentz-polarization factor, no thermal factor.

Peak list (8 most intense, 2θ = 15–90°, sorted by position)
2θ (°)  I (rel.)
19.31  53
30.36  31
34.48  100
37.58  34
47.41  26
51.65  16
62.01  16
79.76  18

Structural model:
```
data_HfSb2Se2
_symmetry_space_group_name_H-M 'P 1'
_symmetry_Int_Tables_number 1
_cell_length_a 3.8351
_cell_length_b 3.8351
_cell_length_c 9.1911
_cell_angle_alpha 90.00
_cell_angle_beta 90.00
_cell_angle_gamma 90.00
loop_
_symmetry_equiv_pos_as_xyz
'x,y,z'
loop_
_atom_site_label
_atom_site_fract_x
_atom_site_fract_y
_atom_site_fract_z
Hf1 0.0000 0.0000 0.0000
Sb1 0.0000 0.5000 0.5000
Sb2 0.5000 0.0000 0.5000
Se1 0.5000 0.5000 0.1566
Se2 0.5000 0.5000 0.8434
```


(2)
Hg5Sb2I6: calculated PXRD pattern (CuKα), based on a DFT-relaxed cell (PBE, OQMD).
Kinematic intensities with the Lorentz-polarization factor, no thermal factor.

Peak list (8 most intense, 2θ = 15–90°, sorted by position)
2θ (°)  I (rel.)
23.28  53
25.98  75
26.92  55
27.07  45
27.25  100
28.18  34
41.67  30
42.24  35

Structural model:
```
data_Hg5Sb2I6
_symmetry_space_group_name_H-M 'P 1'
_symmetry_Int_Tables_number 1
_cell_length_a 21.5609
_cell_length_b 8.2341
_cell_length_c 10.8540
_cell_angle_alpha 90.00
_cell_angle_beta 90.00
_cell_angle_gamma 90.00
loop_
_symmetry_equiv_pos_as_xyz
'x,y,z'
loop_
_atom_site_label
_atom_site_fract_x
_atom_site_fract_y
_atom_site_fract_z
Hg1 0.0205 0.2430 0.0000
Hg2 0.1009 0.0535 0.3547
Hg3 0.1129 0.9186 0.7633
Hg4 0.1750 0.4080 0.6350
Hg5 0.2287 0.3512 0.0237
Hg6 0.2713 0.8512 0.5237
Hg7 0.3250 0.9080 0.1350
Hg8 0.3871 0.4186 0.2633
Hg9 0.3991 0.5535 0.8547
Hg10 0.4795 0.7430 0.5000
Hg11 0.5205 0.2570 0.0000
Hg12 0.6009 0.4465 0.3547
Hg13 0.6129 0.5814 0.7633
Hg14 0.6750 0.0920 0.6350
Hg15 0.7287 0.1488 0.0237
Hg16 0.7713 0.6488 0.5237
Hg17 0.8250 0.5920 0.1350
Hg18 0.8871 0.0814 0.2633
Hg19 0.8991 0.9465 0.8547
Hg20 0.9795 0.7570 0.5000
Sb1 0.0834 0.7253 0.3571
Sb2 0.1583 0.7261 0.5770
Sb3 0.3417 0.2261 0.0770
Sb4 0.4166 0.2253 0.8571
Sb5 0.5834 0.7747 0.3571
Sb6 0.6583 0.7739 0.5770
Sb7 0.8417 0.2739 0.0770
Sb8 0.9166 0.2747 0.8571
I1 0.0112 0.3037 0.2758
I2 0.0548 0.2086 0.6419
I3 0.1211 0.5078 0.9664
I4 0.1217 0.9978 0.0152
I5 0.2081 0.2550 0.3594
I6 0.2483 0.6776 0.2394
I7 0.2517 0.1776 0.7394
I8 0.2919 0.7550 0.8594
I9 0.3783 0.4978 0.5152
I10 0.3789 0.0078 0.4664
I11 0.4452 0.7086 0.1419
I12 0.4888 0.8037 0.7758
I13 0.5112 0.1963 0.2758
I14 0.5548 0.2914 0.6419
I15 0.6211 0.9922 0.9664
I16 0.6217 0.5022 0.0152
I17 0.7081 0.2450 0.3594
I18 0.7483 0.8224 0.2394
I19 0.7517 0.3224 0.7394
I20 0.7919 0.7450 0.8594
I21 0.8783 0.0022 0.5152
I22 0.8789 0.4922 0.4664
I23 0.9452 0.7914 0.1419
I24 0.9888 0.6963 0.7758
```


(3)
Y4Lu2Sn3N3: calculated PXRD pattern (CuKα), based on a DFT-relaxed cell (PBE, OQMD).
Kinematic intensities with the Lorentz-polarization factor, no thermal factor.

Peak list (8 most intense, 2θ = 15–90°, sorted by position)
2θ (°)  I (rel.)
29.40  21
34.42  100
35.44  19
46.69  16
52.14  21
62.97  17
63.99  17
64.63  20

Structural model:
```
data_Y4Lu2Sn3N3
_symmetry_space_group_name_H-M 'P 1'
_symmetry_Int_Tables_number 1
_cell_length_a 6.0756
_cell_length_b 6.0756
_cell_length_c 15.5996
_cell_angle_alpha 101.24
_cell_angle_beta 101.24
_cell_angle_gamma 60.02
loop_
_symmetry_equiv_pos_as_xyz
'x,y,z'
loop_
_atom_site_label
_atom_site_fract_x
_atom_site_fract_y
_atom_site_fract_z
Y1 0.0317 0.1937 0.0877
Y2 0.1350 0.3042 0.4123
Y3 0.1937 0.0317 0.5877
Y4 0.3042 0.1350 0.9123
Y5 0.6958 0.8650 0.0877
Y6 0.8063 0.9683 0.4123
Y7 0.8650 0.6958 0.5877
Y8 0.9683 0.8063 0.9123
Lu1 0.3583 0.5271 0.0815
Lu2 0.4729 0.6417 0.4185
Lu3 0.5271 0.3583 0.5815
Lu4 0.6417 0.4729 0.9185
Sn1 0.1029 0.8971 0.2500
Sn2 0.2685 0.4173 0.7507
Sn3 0.4173 0.2685 0.2507
Sn4 0.5827 0.7315 0.7493
Sn5 0.7315 0.5827 0.2493
Sn6 0.8971 0.1029 0.7500
N1 0.0000 0.5000 0.0000
N2 0.1778 0.6612 0.5000
=====

**Written answer**
Sb8 0.9166 0.2747 0.8571
I1 0.0112 0.3037 0.2758
I2 0.0548 0.2086 0.6419
I3 0.1211 0.5078 0.9664
I4 0.1217 0.9978 0.0152
I5 0.2081 0.2550 0.3594
I6 0.2483 0.6776 0.2394
I7 0.2517 0.1776 0.7394
I8 0.2919 0.7550 0.8594
I9 0.3783 0.4978 0.5152
I10 0.3789 0.0078 0.4664
I11 0.4452 0.7086 0.1419
I12 0.4888 0.8037 0.7758
I13 0.5112 0.1963 0.2758
I14 0.5548 0.2914 0.6419
I15 0.6211 0.9922 0.9664
I16 0.6217 0.5022 0.0152
I17 0.7081 0.2450 0.3594
I18 0.7483 0.8224 0.2394
I19 0.7517 0.3224 0.7394
I20 0.7919 0.7450 0.8594
I21 0.8783 0.0022 0.5152
I22 0.8789 0.4922 0.4664
I23 0.9452 0.7914 0.1419
I24 0.9888 0.6963 0.7758
```


(3)
Y4Lu2Sn3N3: calculated PXRD pattern (CuKα), based on a DFT-relaxed cell (PBE, OQMD).
Kinematic intensities with the Lorentz-polarization factor, no thermal factor.

Peak list (8 most intense, 2θ = 15–90°, sorted by position)
2θ (°)  I (rel.)
29.40  21
34.42  100
35.44  19
46.69  16
52.14  21
62.97  17
63.99  17
64.63  20

Structural model:
```
data_Y4Lu2Sn3N3
_symmetry_space_group_name_H-M 'P 1'
_symmetry_Int_Tables_number 1
_cell_length_a 6.0756
_cell_length_b 6.0756
_cell_length_c 15.5996
_cell_angle_alpha 101.24
_cell_angle_beta 101.24
_cell_angle_gamma 60.02
loop_
_symmetry_equiv_pos_as_xyz
'x,y,z'
loop_
_atom_site_label
_atom_site_fract_x
_atom_site_fract_y
_atom_site_fract_z
Y1 0.0317 0.1937 0.0877
Y2 0.1350 0.3042 0.4123
Y3 0.1937 0.0317 0.5877
Y4 0.3042 0.1350 0.9123
Y5 0.6958 0.8650 0.0877
Y6 0.8063 0.9683 0.4123
Y7 0.8650 0.6958 0.5877
Y8 0.9683 0.8063 0.9123
Lu1 0.3583 0.5271 0.0815
Lu2 0.4729 0.6417 0.4185
Lu3 0.5271 0.3583 0.5815
Lu4 0.6417 0.4729 0.9185
Sn1 0.1029 0.8971 0.2500
Sn2 0.2685 0.4173 0.7507
Sn3 0.4173 0.2685 0.2507
Sn4 0.5827 0.7315 0.7493
Sn5 0.7315 0.5827 0.2493
Sn6 0.8971 0.1029 0.7500
N1 0.0000 0.5000 0.0000
N2 0.1778 0.6612 0.5000